姓名: | 陈永明 | |
性别: | 男 | |
职称/职务 | 特聘教授/无 | |
学位 | 农学博士 | |
Email: | angusbio@126.com | |
个人或课题组主页 |
陈永明,男,甘肃康县人,1995年3月生,博士,中共党员,贵州大学特聘教授B类人才,主要从事天敌昆虫种质资源开发与利用、农林重大害虫成灾机制研究、昆虫有机废弃物高值化利用相关研究,以第一作者或通讯作者在Journal of Pest Science, Pest Management Science, ACS Sustainable Chemistry & Engineering, Carbohydrate Polymers 等国际高水平学术期刊发表SCI论文8篇,授权专利1项。
2022年10月——至今 贵州大学精细化工研究开发中心 特聘教授
2017年9月——2022年6月 吉林农业大学 农学博士
(Attached: materials data)
Entry 1:
Nd4InPd12 after structural relaxation. Source: Alexandria, functional PBE.

N(E_F)   3.4 states/eV/cell
Total DFT energy (no corrections)   -97.24 eV for the cell shown

Cell: 7.5228 7.5228 7.5228 Å, 109.47 109.47 109.47°
Closest atoms and distances in Å follow each position.
Element x y z (fractional)
1 Nd 0.0000 0.0000 0.5000  12 Pd 3.07-3.10
2 Nd 0.0000 0.5000 0.0000  12 Pd 3.07-3.10
3 Nd 0.5000 0.0000 0.0000  12 Pd 3.07-3.10
4 Nd 0.5000 0.5000 0.5000  12 Pd 3.07-3.10
5 In 0.0000 0.0000 0.0000  6 Pd 2.62
6 Pd 0.0000 0.3022 0.3022  1 In 2.62, 4 Pd 2.77
7 Pd 0.0000 0.6978 0.6978  1 In 2.62, 4 Pd 2.77
8 Pd 0.2500 0.5000 0.7500  8 Pd 2.77-3.07, 4 Nd 3.07
9 Pd 0.2500 0.7500 0.5000  8 Pd 2.77-3.07, 4 Nd 3.07
10 Pd 0.3022 0.0000 0.3022  1 In 2.62, 4 Pd 2.77
11 Pd 0.3022 0.3022 0.0000  1 In 2.62, 4 Pd 2.77
12 Pd 0.5000 0.2500 0.7500  8 Pd 2.77-3.07, 4 Nd 3.07
13 Pd 0.5000 0.7500 0.2500  8 Pd 2.77-3.07, 4 Nd 3.07
14 Pd 0.6978 0.0000 0.6978  1 In 2.62, 4 Pd 2.77
15 Pd 0.6978 0.6978 0.0000  1 In 2.62, 4 Pd 2.77
16 Pd 0.7500 0.2500 0.5000  8 Pd 2.77-3.07, 4 Nd 3.07
17 Pd 0.7500 0.5000 0.2500  8 Pd 2.77-3.07, 4 Nd 3.07

Entry 2:
YBeAu3 after structural relaxation. Source: Alexandria, functional PBE.

N(E_F)   7.8 states/eV/cell
Total DFT energy (no corrections)   -41.76 eV for the cell shown
Offset from the most stable computed form   395 meV/atom

Cell: 5.8864 5.8864 5.8864 Å, 82.46 82.46 82.46°
Closest atoms and distances in Å follow each position.
Element x y z (fractional)
1 Y 0.0000 0.0000 0.0000  2 Be 2.86, 6 Au 2.94
2 Y 0.5000 0.5000 0.5000  2 Be 2.86, 6 Au 2.94
3 Be 0.2500 0.2500 0.2500  3 Au 2.23
4 Be 0.7500 0.7500 0.7500  3 Au 2.23
5 Au 0.0380 0.7500 0.4620  1 Be 2.23
6 Au 0.2500 0.5380 0.9620  1 Be 2.23
7 Au 0.4620 0.0380 0.7500  1 Be 2.23
8 Au 0.5380 0.9620 0.2500  1 Be 2.23
9 Au 0.7500 0.4620 0.0380  1 Be 2.23
10 Au 0.9620 0.2500 0.5380  1 Be 2.23

Entry 3:
ZnCu after structural relaxation. Source: Alexandria, functional PBE.

N(E_F)   1.3 states/eV/cell
Total DFT energy (no corrections)   -11.00 eV for the cell shown

Cell: 2.6918 4.2979 4.5310 Å, 90.00 90.00 90.00°
Closest atoms and distances in Å follow each position.
Element x y z (fractional)
1 Zn 0.2500 0.2500 0.0929  6 Cu 2.60-2.67, 6 Zn 2.67-2.69
2 Zn 0.7500 0.7500 0.9071  6 Cu 2.60-2.67, 6 Zn 2.67-2.69
3 Cu 0.2500 0.7500 0.4164  6 Zn 2.60-2.67, 6 Cu 2.65-2.69
4 Cu 0.7500 0.2500 0.5836  6 Zn 2.60-2.67, 6 Cu 2.65-2.69

Entry 4:
BaTc2AgCl after structural relaxation. Source: Alexandria, functional PBE.

Formation energy without anion corrections   1.183 eV/atom
N(E_F)   7.6 states/eV/cell
Total DFT energy (no corrections)   -21.44 eV for the cell shown

Cell: 5.0658 5.0658 6.1075 Å, 90.00 90.00 90.00°
Closest atoms and distances in Å follow each position.
Element x y z (fractional)
1 Ba 0.0000 0.0000 0.0000  4 Cl 3.58, 8 Tc 3.97
2 Tc 0.0000 0.5000 0.5000  2 Ag 2.53
3 Tc 0.5000 0.0000 0.5000  2 Ag 2.53
4 Ag 0.5000 0.5000 0.5000  4 Tc 2.53
5 Cl 0.5000 0.5000 0.0000  2 Ag 3.05
2013年9月——2017年6月 吉林农业大学本科
1. 天敌昆虫种质资源开发与利用;
2. 农林重大害虫灾变机制研究;
3. 昆虫有机废弃物高值化利用。
1. Mu MY, Chen YM*, Wang X, Desneux N, Zang LS. Comparative demographics, population projections and egg maturation patterns of four eupelmid egg parasitoids on the factitious host Antherae pernyi.Pest Management Science, 2023, 10.1002/ps.753.
2. Chen YM, Zang LS*, Koc-Bilican B, Bilican I, Holland C, Cansaran-Duman D, Karaduman T, Çolak A, Bayır Y, Halici Z, Ozmen S, Ali A, Labidi J, Elbuken C, Kaya M*. Macroporous Surgical Mesh from a Natural Cocoon Composite. ACS Sustainable Chemistry & Engineering, 2022. 10(18), 5728-5738.
3. Chen YM, Iqbal A, Lv RE, Wang X, Desneux N, Zang LS*. Chinese oak silkworm Antherae pernyi egg, a suitable factitious host for rearing eupelmid egg parasitoids. Pest Management Science, 2022, 78(5), 1789–1799.
4. Chen YM, Pekdemir S, Bilican I, Koc-Bilican B, Cakmak B, Ali A, Zang LS*, M. Serdar Onses*, Kaya M*. Production of natural chitin film from pupal shell of moth: Fabrication of plasmonic surfaces for SERS-based sensing applications. Carbohydrate Polymers, 2021, 262, 117909.
5. Chen YM, Qu XR, Li TH, Iqbal A, Wang X, Ren ZY, Desneux N, Zang LS*. Performances of six eupelmid egg parasitoids from China on Japanese giant silkworm Caligula japonica with different host age regimes. Journal of Pest Science, 2021, 94(2), 309-319.
6. Chen YM, Sun JW, Iqbal A, Lv R-E, Wang H, Zang LS*. An investigation of Caligula japonica Moore egg distribution and its parasitoids on walnut trees (Juglans regia) in northwestern China. International Journal of Pest Management, 2022, 68(2), 184-191.
7. Chen YM, Gibson GAP, Peng LF, Iqbal A, Zang LS*. The Anastatus Motschulsky (Hymenoptera, Eupelmidae) egg parasitoids of Caligula japonica Moore (Lepidoptera, Saturniidae) in China. ZooKeys, 2019, 881: 109–134.
8. Wei XY, Chen YM*, Wang X, Lv RE, Zang LS*. Demography and fitness of Anastatus japonicus reared from Antheraea pernyi as a biological control agent of Caligula japonica. Insects, 2022, 13(4), 349.
9. Zang LS, Chen YM, Koc-Bilican B, Bilican I, Sakir M, Wait J, Çolak A, Karaduman T, Ceylan A, Ali A, Elbuken C, Onses MS*, Kaya M*. From bio-waste to biomaterials: The eggshells of Chinese oak silkworm as templates for SERS-active surfaces. Chemical Engineering Journal, 2021, 426, 131874.
10. Zang ZY, Chen YM, Xu W*, Zang LS*. Evidence of two-sex life table analysis supporting Anastatus japonicus, a more effective biological control agent of Caligula japonica compared with other two Anastatus species. Biological Control, 2023, 180, 105188.
11. Iqbal A, Chen YM, Hou YY, Ruan CC*, Desneux N, Khan MQ, Zang LS*. Rearing Trichogramma ostriniae on the factitious host Antheraea pernyi via multiparasitism with Trichogramma chilonis facilitates enhanced biocontrol potential against Ostrinia furnacalis.Biological control, 2021, 156, 104567.
12. Iqbal A, Chen YM, Hou YY,Zhang L, Desneux N, Zang LS*. Factitious host species impact on the outcome of multiparasitism between egg parasitoids. Journal of Pest Science, 2019, 92, 1261–1269.
13. Wang J, Chen YM, Yang XB*, Lv RE, Desneux N, Zang LS*. Parasitism and suitability of Aprostocetus brevipedicellus on Chinese oak silkworm, Antheraea pernyi, a dominant factitious host. Insects, 2021, 12, 694.
14. Zhao QY, Chen X, Wang RZ, Chen YM, Zang LS*. Comparative analysis of the venom proteins from two eupelmid egg parasitoids Anastatus japonicus and Mesocomys trabalae. Biology, 2023, 12, 700.
15. Iqbal A, Hou YY, Chen YM, Ali A, Monticelli LS, Desneux N, Zang LS*. Impact of Trichogramma parasitoid age on the outcome of multiparasitism in the factitious host eggs of Chinese oak silkworm, Antheraea pernyi. Journal of Pest Science, 2020, 93, 1347–1357.
16. 朱琳, 陈永明, 臧连生*. 基于年龄-阶段两性生命表的温室白粉虱对三种重要寄主植物的适应性. 环境昆虫学报, 2023, 45(2), 450-458.
17. 任志勇#, 陈永明#, 吕瑞娥, 巩芳娥, 汪海, 臧连生*. 甘肃陇南地区银杏大蚕蛾卵寄生蜂种类调查. 环境昆虫学报, 2020, 42(6), 1464-1471.
18.王晶, 陈永明, 李天昊, 温玄烨, 徐伟, 臧连生*. 短梗长尾啮小蜂的生物学特性, 环境昆虫学报, 2021, 43(3), 716–722.
# Calculated crystals, kept here for reference
<1>
Compound: NpIF3
Source: the Alexandria database
Functional: PBE
Structure: optimized geometry

The space group is P4mm (No. 99) and the conventional cell measures 4.401, 4.401 and 4.705 Å, with angles of 90.00, 90.00 and 90.00 degrees. Symmetry generates all atoms from Np at (0.000, 0.000, 0.000), I at (0.500, 0.500, 0.655), F at (0.000, 0.000, 0.485) and F at (0.000, 0.500, 0.131).

***

<2>
Compound: NpIF3
Source: the Alexandria database
Functional: PBE
Structure: optimized geometry

The space group is P2_1/c (No. 14) and the conventional cell measures 8.231, 5.965 and 11.959 Å, with angles of 90.00, 123.86 and 90.00 degrees. Symmetry generates all atoms from Np at (0.143, 0.066, 0.419), I at (0.460, 0.189, 0.366), F at (0.038, 0.730, 0.781), F at (0.144, 0.575, 0.105) and F at (0.206, 0.133, 0.013).

***

Of them, <2> has the highest stability.

***

<1>
Compound: IOF3
Source: the Alexandria database
Functional: PBE
Structure: optimized geometry

The space group is P2_12_12_1 (No. 19) and the conventional cell measures 5.551, 5.873 and 10.886 Å, with angles of 90.00, 90.00 and 90.00 degrees. Symmetry generates all atoms from I at (0.153, 0.096, 0.098), O at (0.201, 0.671, 0.523), F at (0.050, 0.306, 0.231), F at (0.085, 0.978, 0.703) and F at (0.209, 0.123, 0.484).

***

<2>
Compound: IOF3
Source: the Alexandria database
Functional: PBE
Structure: optimized geometry

The space group is Pm-3m (No. 221) and the conventional cell measures 4.094, 4.094 and 4.094 Å, with angles of 90.00, 90.00 and 90.00 degrees. Symmetry generates all atoms from I at (0.000, 0.000, 0.000), O at (0.500, 0.500, 0.500) and F at (0.000, 0.500, 0.500).

***

<3>
Compound: IOF3
Source: the Alexandria database
Functional: PBE
Structure: optimized geometry

The space group is Cmc2_1 (No. 36) and the conventional cell measures 7.844, 8.771 and 5.122 Å, with angles of 90.00, 90.00 and 90.00 degrees. Symmetry generates all atoms from I at (0.000, 0.204, 0.000), O at (0.000, 0.090, 0.709), F at (0.000, 0.379, 0.249) and F at (0.182, 0.323, 0.860).

***

<4>
Compound: IOF3
Source: the Alexandria database
Functional: PBE
Structure: optimized geometry

The space group is Pm-3m (No. 221) and the conventional cell measures 4.487, 4.487 and 4.487 Å, with angles of 90.00, 90.00 and 90.00 degrees. Symmetry generates all atoms from I at (0.000, 0.000, 0.000), O at (0.500, 0.500, 0.500) and F at (0.000, 0.000, 0.500).

***

Of them, <1> has the highest stability.

***

<1>
Compound: I2OF
Source: the Alexandria database
Functional: PBE
Structure: optimized geometry

The space group is I-42d (No. 122) and the conventional cell measures 5.344, 5.344 and 14.634 Å, with angles of 90.00, 90.00 and 90.00 degrees. Symmetry generates all atoms from I at (0.109, 0.250, 0.125), O at (0.000, 0.000, 0.000) and F at (0.000, 0.000, 0.500).

***

<2>
Compound: I2OF
Source: the Alexandria database
Functional: PBE
Structure: optimized geometry
19. 戴鹏, 孙加伟, 陈永明,包和平, 张礼生, Nkunika P, 臧连生*.发现3种防治草地贪夜蛾的卵寄生蜂, 吉林农业大学学报, 2019, 41(5), 505–509.
1.臧连生, 陈永明, 李天昊, 阮长春, 张俊杰. 一种适合森林害虫防治的球型放蜂器, ZL 2018 2 1802768.0